It remains to give back the lines further down from the one with "1.478, H28" to the one with "-1.456" unchanged.

'''
DFT (ωB97M-V with the def2-TZVPD basis set) results for a 11-piece molecular cluster, C49H92Br3N9O5 overall at a distorted geometry.

Last columns: bonded neighbours and bond lengths (Å).
Geometry (Å):
1 C -4.954 -7.382 3.621  C2 1.534, H11 1.086, H12 1.078, H13 1.048
2 C -5.646 -6.017 3.730  C1 1.534, N3 1.537, H14 1.109, H15 1.073
3 N -6.096 -5.304 2.445  C2 1.537, C4 1.500, C5 1.479, C7 1.533
4 C -4.909 -4.884 1.630  N3 1.500, H16 1.121, H17 1.095, H18 1.061
5 C -6.971 -6.225 1.688  N3 1.479, C6 1.527, H19 1.105, H20 1.101
6 C -7.536 -5.552 0.439  C5 1.527, H21 1.102, H22 1.075, H23 1.103
7 C -6.759 -3.980 2.847  N3 1.533, C8 1.541, H24 1.064, H25 1.064
8 C -8.083 -4.183 3.609  C7 1.541, O9 1.384, H26 1.117, H27 1.113
9 O -7.767 -4.591 4.892  C8 1.384, C10 1.478
10 C -8.982 -4.389 5.709  O9 1.478, H28 1.141, H29 1.075, H30 1.100
11 H -4.676 -7.599 4.648  C1 1.086
12 H -4.031 -7.625 3.121  C1 1.078
13 H -5.632 -8.091 3.253  C1 1.048
14 H -5.017 -5.342 4.345  C2 1.109
15 H -6.541 -6.269 4.266  C2 1.073
16 H -4.364 -5.791 1.260  C4 1.121
17 H -4.278 -4.388 2.375  C4 1.095
18 H -5.133 -4.148 0.899  C4 1.061
19 H -7.799 -6.422 2.393  C5 1.105
20 H -6.327 -7.086 1.456  C5 1.101
21 H -7.961 -6.295 -0.254  C6 1.102
22 H -6.746 -5.049 -0.088  C6 1.075
23 H -8.302 -4.789 0.658  C6 1.103
24 H -6.954 -3.427 1.959  C7 1.064
25 H -6.163 -3.440 3.543  C7 1.064
26 H -8.770 -4.891 3.083  C8 1.117
27 H -8.563 -3.180 3.662  C8 1.113
28 H -9.425 -3.348 5.568  C10 1.141
29 H -8.620 -4.537 6.710  C10 1.075
30 H -9.806 -5.034 5.367  C10 1.100
31 C -4.492 2.301 -9.261  C32 1.612, H41 1.087, H42 1.062, H43 1.089
32 C -5.246 2.696 -7.893  C31 1.612, N33 1.507, H44 1.071, H45 1.103
33 N -4.245 3.306 -6.945  C32 1.507, C34 1.486, C35 1.507, C37 1.526
34 C -4.995 3.654 -5.711  N33 1.486, H46 1.100, H47 1.084, H48 1.048
35 C -3.135 2.333 -6.639  N33 1.507, C36 1.513, H49 1.084, H50 1.087
36 C -2.025 2.773 -5.709  C35 1.513, H51 1.087, H52 1.097, H53 1.081
37 C -3.630 4.563 -7.553  N33 1.526, C38 1.544, H54 1.104, H55 1.092
38 C -4.539 5.691 -8.087  C37 1.544, O39 1.384, H56 1.090, H57 1.126
39 O -5.252 6.221 -7.025  C38 1.384, C40 1.430
40 C -5.888 7.423 -7.468  O39 1.430, H58 1.116, H59 1.081, H60 1.110
41 H -5.226 2.070 -10.029  C31 1.087
42 H -3.920 1.410 -9.176  C31 1.062
43 H -3.948 3.092 -9.777  C31 1.089
44 H -5.645 1.868 -7.344  C32 1.071
45 H -6.016 3.479 -7.989  C32 1.103
46 H -4.316 4.221 -5.058  C34 1.100
47 H -5.221 2.717 -5.216  C34 1.084
48 H -5.832 4.255 -5.901  C34 1.048
49 H -2.733 2.016 -7.595  C35 1.084
50 H -3.596 1.442 -6.221  C35 1.087
51 H -1.251 3.466 -6.028  C36 1.087
52 H -1.427 1.887 -5.462  C36 1.097
53 H -2.438 3.254 -4.833  C36 1.081
54 H -3.005 4.144 -8.361  C37 1.104
55 H -2.993 4.920 -6.740  C37 1.092
56 H -5.215 5.352 -8.872  C38 1.090
57 H -3.848 6.444 -8.558  C38 1.126
58 H -5.349 7.874 -8.336  C40 1.116
59 H -5.847 8.166 -6.684  C40 1.081
60 H -6.928 7.244 -7.813  C40 1.110
61 C -3.550 4.988 6.561  C62 1.504, H68 1.108, H69 1.077, H70 1.126
62 C -2.517 5.093 5.473  C61 1.504, O63 1.175, N64 1.460
63 O -2.612 4.557 4.431  C62 1.175
64 N -1.318 5.882 5.742  C62 1.460, H65 1.027, H66 1.117, C67 1.465
65 H -1.263 6.042 6.755  N64 1.027
66 H -0.405 5.294 5.481  N64 1.117
67 C -1.118 7.189 5.109  N64 1.465, H71 1.114, H72 1.089, H73 1.086
68 H -4.384 4.512 6.008  C61 1.108
69 H -3.776 5.967 6.948  C61 1.077
70 H -3.286 4.210 7.331  C61 1.126
71 H -1.136 6.980 4.015  C67 1.114
72 H -0.053 7.395 5.199  C67 1.089
73 H -1.811 7.959 5.434  C67 1.086
74 C -0.210 2.252 -1.143  C75 1.549, H81 1.118, H82 1.120, H83 1.078
75 C -0.943 1.016 -1.721  C74 1.549, O76 1.212, N77 1.377
76 O -0.704 0.685 -2.863  C75 1.212
77 N -1.990 0.465 -1.018  C75 1.377, H79 1.052, C80 1.447
78 H 3.472 -5.783 10.606  no bonds
79 H -2.002 0.755 -0.007  N77 1.052
80 C -2.750 -0.719 -1.359  N77 1.447, H84 1.100, H85 1.055, H86 1.052
81 H 0.127 2.393 -0.086  C74 1.118
82 H -0.879 3.093 -1.456  C74 1.120
83 H 0.696 2.277 -1.726  C74 1.078
'''

10 C -8.982 -4.389 5.709  O9 1.478, H28 1.141, H29 1.075, H30 1.100
11 H -4.676 -7.599 4.648  C1 1.086
12 H -4.031 -7.625 3.121  C1 1.078
13 H -5.632 -8.091 3.253  C1 1.048
14 H -5.017 -5.342 4.345  C2 1.109
15 H -6.541 -6.269 4.266  C2 1.073
16 H -4.364 -5.791 1.260  C4 1.121
17 H -4.278 -4.388 2.375  C4 1.095
18 H -5.133 -4.148 0.899  C4 1.061
19 H -7.799 -6.422 2.393  C5 1.105
20 H -6.327 -7.086 1.456  C5 1.101
21 H -7.961 -6.295 -0.254  C6 1.102
22 H -6.746 -5.049 -0.088  C6 1.075
23 H -8.302 -4.789 0.658  C6 1.103
24 H -6.954 -3.427 1.959  C7 1.064
25 H -6.163 -3.440 3.543  C7 1.064
26 H -8.770 -4.891 3.083  C8 1.117
27 H -8.563 -3.180 3.662  C8 1.113
28 H -9.425 -3.348 5.568  C10 1.141
29 H -8.620 -4.537 6.710  C10 1.075
30 H -9.806 -5.034 5.367  C10 1.100
31 C -4.492 2.301 -9.261  C32 1.612, H41 1.087, H42 1.062, H43 1.089
32 C -5.246 2.696 -7.893  C31 1.612, N33 1.507, H44 1.071, H45 1.103
33 N -4.245 3.306 -6.945  C32 1.507, C34 1.486, C35 1.507, C37 1.526
34 C -4.995 3.654 -5.711  N33 1.486, H46 1.100, H47 1.084, H48 1.048
35 C -3.135 2.333 -6.639  N33 1.507, C36 1.513, H49 1.084, H50 1.087
36 C -2.025 2.773 -5.709  C35 1.513, H51 1.087, H52 1.097, H53 1.081
37 C -3.630 4.563 -7.553  N33 1.526, C38 1.544, H54 1.104, H55 1.092
38 C -4.539 5.691 -8.087  C37 1.544, O39 1.384, H56 1.090, H57 1.126
39 O -5.252 6.221 -7.025  C38 1.384, C40 1.430
40 C -5.888 7.423 -7.468  O39 1.430, H58 1.116, H59 1.081, H60 1.110
41 H -5.226 2.070 -10.029  C31 1.087
42 H -3.920 1.410 -9.176  C31 1.062
43 H -3.948 3.092 -9.777  C31 1.089
44 H -5.645 1.868 -7.344  C32 1.071
45 H -6.016 3.479 -7.989  C32 1.103
46 H -4.316 4.221 -5.058  C34 1.100
47 H -5.221 2.717 -5.216  C34 1.084
48 H -5.832 4.255 -5.901  C34 1.048
49 H -2.733 2.016 -7.595  C35 1.084
50 H -3.596 1.442 -6.221  C35 1.087
51 H -1.251 3.466 -6.028  C36 1.087
52 H -1.427 1.887 -5.462  C36 1.097
53 H -2.438 3.254 -4.833  C36 1.081
54 H -3.005 4.144 -8.361  C37 1.104
55 H -2.993 4.920 -6.740  C37 1.092
56 H -5.215 5.352 -8.872  C38 1.090
57 H -3.848 6.444 -8.558  C38 1.126
58 H -5.349 7.874 -8.336  C40 1.116
59 H -5.847 8.166 -6.684  C40 1.081
60 H -6.928 7.244 -7.813  C40 1.110
61 C -3.550 4.988 6.561  C62 1.504, H68 1.108, H69 1.077, H70 1.126
62 C -2.517 5.093 5.473  C61 1.504, O63 1.175, N64 1.460
63 O -2.612 4.557 4.431  C62 1.175
64 N -1.318 5.882 5.742  C62 1.460, H65 1.027, H66 1.117, C67 1.465
65 H -1.263 6.042 6.755  N64 1.027
66 H -0.405 5.294 5.481  N64 1.117
67 C -1.118 7.189 5.109  N64 1.465, H71 1.114, H72 1.089, H73 1.086
68 H -4.384 4.512 6.008  C61 1.108
69 H -3.776 5.967 6.948  C61 1.077
70 H -3.286 4.210 7.331  C61 1.126
71 H -1.136 6.980 4.015  C67 1.114
72 H -0.053 7.395 5.199  C67 1.089
73 H -1.811 7.959 5.434  C67 1.086
74 C -0.210 2.252 -1.143  C75 1.549, H81 1.118, H82 1.120, H83 1.078
75 C -0.943 1.016 -1.721  C74 1.549, O76 1.212, N77 1.377
76 O -0.704 0.685 -2.863  C75 1.212
77 N -1.990 0.465 -1.018  C75 1.377, H79 1.052, C80 1.447
78 H 3.472 -5.783 10.606  no bonds
79 H -2.002 0.755 -0.007  N77 1.052
80 C -2.750 -0.719 -1.359  N77 1.447, H84 1.100, H85 1.055, H86 1.052
81 H 0.127 2.393 -0.086  C74 1.118
82 H -0.879 3.093 -1.456  C74 1.120